A colorful, geometric, and somewhat abstract illustration featuring buildings and streets covered with arrows, numbers, and the text "AI"

Generative AI and Assessments Workshop (June 28, July 18, Aug. 8, & Aug. 30, 2023)

Please join CATL for a virtual summer workshop focused on creating assessments in the age of generative AI (e.g., ChatGPT)! CATL facilitators will work with instructors to review their learning objectives, discuss the implications of emerging AI products, and brainstorm creative, high-quality, aligned, and feasible strategies for adapting course materials and assessments.

To participate in this virtual workshop, CATL asks that instructors bring a course syllabus with learning outcomes, ideas for at least two assessments for that course, and a willingness to engage in a reflective process that includes thinking about how generative AI technologies might impact those course materials. This workshop, “Generative AI and Assessments,” will occur three times throughout the summer months with more offerings to come in the fall. While registration is not required to attend, we encourage you to register today to receive a calendar reminder for the timeslot that works best for you!

Workshop Dates and Times:

All sessions are fully virtual and will meet via Microsoft Teams. Each workshop will be the same so please only sign up for one timeslot.

If you need accommodation for this virtual event, please contact CATL at CATL@uwgb.edu.



Supporting First-Generation College Students (Mar. 24 & Apr. 28, 2023)

CATL is excited to partner with Lisa Lamson, Assistant Teaching Professor in Humanities and 2022-23 EDI Consultant, to offer two workshops this spring on supporting the success of first-generation college students.

**Crystal structures that have nothing to do with the entry:**
********
Record 1
This record from the Materials Project describes CuPO3 after structural relaxation. The functional is PBE-GGA.

abc: 7.6108 5.5720 14.0855
angles: 90.00 118.04 90.00
Last column: nearest neighbours and their distance in Å.
Positions (direct):
1 Cu 0.2279 0.1242 0.0140  2 O 1.92-1.93
2 Cu 0.2279 0.3758 0.5140  2 O 1.92-1.93
3 Cu 0.2529 0.6399 0.8530  2 O 1.90
4 Cu 0.2529 0.8601 0.3530  2 O 1.90
5 Cu 0.7471 0.1399 0.6470  2 O 1.90
6 Cu 0.7471 0.3601 0.1470  2 O 1.90
7 Cu 0.7721 0.6242 0.4860  2 O 1.92-1.93
8 Cu 0.7721 0.8758 0.9860  2 O 1.92-1.93
9 P 0.2938 0.6242 0.1058  4 O 1.50-1.62
10 P 0.2938 0.8758 0.6058  4 O 1.50-1.62
11 P 0.2988 0.1450 0.7920  4 O 1.50-1.63
12 P 0.2988 0.3550 0.2920  4 O 1.50-1.63
13 P 0.7012 0.6450 0.7080  4 O 1.50-1.63
14 P 0.7012 0.8550 0.2080  4 O 1.50-1.63
15 P 0.7062 0.1242 0.3942  4 O 1.50-1.62
16 P 0.7062 0.3758 0.8942  4 O 1.50-1.62
17 O 0.1479 0.6796 0.5456  1 P 1.50
18 O 0.1479 0.8204 0.0456  1 P 1.50
19 O 0.1557 0.1606 0.2843  1 P 1.50
20 O 0.1557 0.3394 0.7843  1 P 1.50
21 O 0.2087 0.0158 0.6760  2 P 1.61-1.62
22 O 0.2087 0.4842 0.1760  2 P 1.61-1.62
23 O 0.3390 0.0568 0.5402  1 P 1.51
24 O 0.3390 0.4432 0.0402  1 P 1.51
25 O 0.3507 0.5409 0.3794  1 P 1.51
26 O 0.3507 0.9591 0.8794  1 P 1.51
27 O 0.4982 0.7388 0.1993  2 P 1.62-1.63
28 O 0.4982 0.7612 0.6993  2 P 1.62-1.63
29 O 0.5018 0.2388 0.3007  2 P 1.62-1.63
30 O 0.5018 0.2612 0.8007  2 P 1.62-1.63
31 O 0.6493 0.0409 0.1206  1 P 1.51
32 O 0.6493 0.4591 0.6206  1 P 1.51
33 O 0.6610 0.5568 0.9598  1 P 1.51
34 O 0.6610 0.9432 0.4598  1 P 1.51
35 O 0.7913 0.5158 0.8240  2 P 1.61-1.62
36 O 0.7913 0.9842 0.3240  2 P 1.61-1.62
37 O 0.8443 0.6606 0.2157  1 P 1.50
38 O 0.8443 0.8394 0.7157  1 P 1.50
39 O 0.8521 0.1796 0.9544  1 P 1.50
40 O 0.8521 0.3204 0.4544  1 P 1.50

=====

Record 2
This record from the Materials Project describes KTi2P3O12 after structural relaxation. The functional is PBE-GGA.

abc: 9.9224 9.9224 9.9224
angles: 90.00 90.00 90.00
Last column: nearest neighbours and their distance in Å.
Positions (direct):
1 K 0.0739 0.0739 0.0739  9 O 2.88-3.01
2 K 0.4261 0.9261 0.5739  9 O 2.88-3.01
3 K 0.5739 0.4261 0.9261  9 O 2.88-3.01
4 K 0.9261 0.5739 0.4261  9 O 2.88-3.01
5 Ti 0.0865 0.9135 0.4135  6 O 1.95-1.97
6 Ti 0.1399 0.3601 0.6399  6 O 1.95-1.97
7 Ti 0.3601 0.6399 0.1399  6 O 1.95-1.97
8 Ti 0.4135 0.0865 0.9135  6 O 1.95-1.97
9 Ti 0.5865 0.5865 0.5865  6 O 1.95-1.97
10 Ti 0.6399 0.1399 0.3601  6 O 1.95-1.97
11 Ti 0.8601 0.8601 0.8601  6 O 1.95-1.97
12 Ti 0.9135 0.4135 0.0865  6 O 1.95-1.97
13 P 0.0455 0.7273 0.1256  4 O 1.54-1.55
14 P 0.1256 0.0455 0.7273  4 O 1.54-1.55
15 P 0.2273 0.3744 0.9545  4 O 1.54-1.55
16 P 0.2727 0.6256 0.4545  4 O 1.54-1.55
17 P 0.3744 0.9545 0.2273  4 O 1.54-1.55
18 P 0.4545 0.2727 0.6256  4 O 1.54-1.55
19 P 0.5455 0.7727 0.8744  4 O 1.54-1.55
20 P 0.6256 0.4545 0.2727  4 O 1.54-1.55
21 P 0.7273 0.1256 0.0455  4 O 1.54-1.55
22 P 0.7727 0.8744 0.5455  4 O 1.54-1.55
23 P 0.8744 0.5455 0.7727  4 O 1.54-1.55
********

Transparency in Syllabus Design for First-Gen Student Success (Mar. 24, 1 – 2 p.m.)

The first of the two workshops, Transparency in Syllabus Design for First Gen Student Success, will be held in person on Friday, Mar. 24 from 1 – 2 p.m. in the Alumni Room (University Union 103). This workshop addresses the whys and hows of syllabi – how can faculty best utilize the first-day foundational document throughout the semester to best support first-generation students as they navigate college? Despite best efforts, there seems to be a disconnect between how faculty see class syllabi and how students engage with the syllabi. This workshop intends to act as a bridge to help faculty articulate how their syllabi and learning outcomes shape the learning experiences throughout the semester and how it connects to their “genre knowledge” to help students see the value in a syllabus. In doing so, this workshop seeks to help faculty support first-generation students’ sense of belonging in the classroom and in the university by making clear the activities in the classroom’s connection to the university’s learning outcomes and beyond.

Unpacking the Hidden Curriculum for First-Generation Student Success (Apr. 28, 1 – 2 p.m.)

The the second workshop, Unpacking the Hidden Curriculum for First-Generation Student Success, will be held in person on Friday, Apr. 28 from 1 – 2 p.m. in MAC 107. “How do you know what you know?” – “Hidden Curriculum,” or the unspoken expectations of college in and outside of the classroom, often acts as a barrier to first-generation student success. While much of the academic scholarship on the “hidden curriculum” focuses on student experiences, this workshop intends to bring the conversation explicitly into the classroom – how can we uncover the information we, as faculty, just know and translate that for our students? How can we teach something we have learned through doing? This workshop proposes an opportunity for faculty to articulate the hidden “just knows” for their classroom to improve student achievement and, ultimately, success. Working through an assignment of their choosing, faculty will identify hidden expectations in their assessments and rubrics, and develop ways to make clear how the expectations of the assignment align with the course outcomes and beyond.

Language Inclusivity at UWGB: Reflecting on Our Practices and Policies to Serve Language-rich Students (Feb. 24, Mar. 3, Mar. 31, & Apr. 12, 2023)

What language practices do your students bring to our UWGB community? How do you value and sustain those language practices in your classrooms and other interactions with students? Join Dr. Cory Mathieu, 2022-23 EDI Consultant, and Edith Mendez, undergraduate student in Education, in a workshop series to prompt UWGB faculty and staff to engage in these questions to begin to cultivate a culture of language inclusivity across our campus. Each workshop is tailored to one of the four UWGB colleges with examples and recommendations that are responsive to the needs of various academic and professional fields. Workshops will be interactive, reflective, and in-person.

Save the date for your college!

  • CHESW: Friday, February 24, 12 – 1 p.m., Wood Hall 303
  • CAHSS: Friday, March 3, 12 – 1 p.m., MAC Hall 210
  • CSET: Friday, March 31, 12 – 1 p.m., STEM Innovation Center 136, 137, & 138
  • CSB: Wednesday, April 12, 12 – 1 p.m., Wood Hall 202

If you need an accommodation for any of the sessions, please contact CATL@uwgb.edu.

Events on AI, Machine-Generated Content, and ChatGPT (Feb. 10, Feb. 17, Mar. 24 & Apr. 7, 2023)

Have you heard the term “ChatGPT” and wondered what everyone was talking about? Are you thinking about how artificial intelligence and machine-generated content could help you as a teacher or complicate your ability to assess true student learning? Experts from across UW-Green Bay are coming together to help you! Please read on to learn more about the sessions being offered in Spring 2023.

ChatGPT Workshop (Feb. 10 & 17, 8 – 9:30 a.m.)

We are excited to announce that the Cofrin School of Business, with support from CATL, is hosting a workshop on ChatGPT! Come learn about ChatGPT by Open AI. Join CSB faculty in this interactive workshop to experience the most advanced chatbot and discuss implications for teaching and learning.

The workshop is moderated by Oliver Buechse, Executive in Residence, Cofrin School of Business. It will be offered on two different Fridays, Feb. 10 and 17, from 8 – 9:30 a.m. in the Willie D. Davis Finance and Investment Lab on the first floor of Wood Hall. The workshops are free and open to all UWGB employees.

If you need an accommodation for any of the sessions that are a part of the “ChaptGPT Workshop” please contact Kathryn Marten (martenk@uwgb.edu).

AI, Teaching, & Learning Series (Feb. 17, Mar. 24, & Apr. 7, 11:40 a.m. – 12:30 p.m.)

UW-Green Libraries, CATL, The Learning Center, and UWGB faculty are all coming together to offer a series of three workshops on machine-generated content applications and artificial intelligence tools such as ChatGPT and their potential impacts on teaching and learning. Participants will have the option to attend this series in-person or via Zoom. 

Teaching and Learning in the Time of ChatGPT | Friday, Feb. 17, 11:40 a.m. – 12:30 p.m.

UW-Green Bay instructors with expertise in artificial intelligence and machine learning will introduce us to AI-content generating tools, like ChatGPT, and their potential uses and pitfalls. Join other instructors for an engaging discussion about the impact on teaching and learning and a brief opportunity to test the tools themselves. 

Writing Assignments and Artificial Intelligence | Friday, Mar. 24, 11:40 a.m. – 12:30 p.m.

ChatGPT and other text-generating tools have raised concerns among instructors whose curriculum relies upon writing assignments from creative writing to lab reports and research papers. In this session, we’ll focus on the implications of these tools on writing and pedagogy, assessment, and curriculum design.  

# Unrelated to this page: data records
- - -
VASP calculation (PBE-GGA) on a relaxed structure of Na4Zr2Ge3O12.

The calculation puts the electronic total energy at -6.775 eV/atom. The value obtained for the formation enthalpy at 0 K is -2.61 eV per atom. The corrected total energy (MP2020 scheme) is -903.113 eV per cell. As for the crystal system: trigonal.

It has space group R-3 (No. 148, hexagonal axes), with a = 9.6054 Å, b = 9.6054 Å, c = 22.7233 Å, α = 90.00°, β = 90.00° and γ = 120.00°. The distinct sites, in fractional coordinates, are Na at (0.0000, 0.0000, 0.0000), Na at (0.0000, 0.0000, 0.5000), Na at (0.0024, 0.6232, 0.2478), Zr at (0.0000, 0.0000, 0.1445), Zr at (0.0000, 0.0000, 0.3558), Ge at (0.0001, 0.2949, 0.2503), O at (0.0122, 0.8171, 0.6864), O at (0.0136, 0.8369, 0.4189), O at (0.0213, 0.1987, 0.1874) and O at (0.0263, 0.1822, 0.9182).
- - -

Designing and Managing Authentic Assessments | Friday, Apr. 7, 11:40 a.m. – 12:30 p.m.

Students may inevitably use artificial intelligence and text-generating tools, but there are strategies instructors can explore and use to alleviate instructional stress around student learning. In this session, we will explore strategies for planning and developing authentic assessments to help students actively engage in their learning. This session will also offer instructors resources to help navigate the issues surrounding artificial intelligence and discuss ways to create assessments that embrace or acknowledge the use of AI and text-generating tools.

If you need an accommodation for any of the sessions that are a part of the “AI, Teaching & Learning Series,” please contact Kate Farley (farleyk@uwgb.edu).

[Attached: calculated crystals]
<<<
This record from the Materials Project describes crystalline Ca2YBiO5 at its relaxed geometry. The functional is GGA-PBE. Values from VASP.

```
&SYSTEM
  ibrav = 0, nat = 18, ntyp = 4
/
ATOMIC_SPECIES
O 16.00 O.upf
Y 88.91 Y.upf
Ca 40.08 Ca.upf
Bi 208.98 Bi.upf
ATOMIC_POSITIONS crystal
O 0.7927 0.9888 0.4572
O 0.2621 0.3551 0.6873
O 0.6499 0.7283 0.3083
O 0.0008 0.1993 0.2479
O 0.3931 0.6028 0.3304
O 0.7283 0.6499 0.8083
O 0.6028 0.3931 0.8304
O 0.1993 0.0008 0.7479
O 0.9888 0.7927 0.9572
O 0.3551 0.2621 0.1873
Y 0.2627 0.7263 0.6901
Y 0.7263 0.2627 0.1901
Ca 0.1228 0.6158 0.3370
Ca 0.3761 0.8698 0.0835
Ca 0.8698 0.3761 0.5835
Ca 0.6158 0.1228 0.8370
Bi 0.4973 0.9976 0.5025
Bi 0.9976 0.4973 0.0025
CELL_PARAMETERS angstrom
3.0287 8.4021 0.0000
-3.0287 8.4021 0.0000
0.0000 2.1468 5.7087
```

Computed properties:
* calculated total energy: -6.832 eV/atom
* ΔH_f (0 K): -2868 meV per atom
* SG: No. 9
* crystal system: monoclinic

* * * * *

Record 1
Here is an optimized crystal structure of Rb3Mo4P4O22 from the Materials Project database. Energies are from PBE with a Hubbard U.

Output
**DFT formation energy**: -2.412 eV/atom
**Excess energy over the best structure of this formula in the dataset**: 0.000 eV/atom

Geometry as POSCAR:
```
Rb3Mo4P4O22
1.0
7.248 -7.283 0.000
7.248 7.283 0.000
0.000 0.000 19.603
O Rb P Mo
88 12 16 16
Direct
0.613 0.014 0.216 O
0.344 0.235 0.752 O
0.854 0.749 0.135 O
0.645 0.250 0.614 O
0.317 0.095 0.858 O
0.014 0.613 0.784 O
0.114 0.477 0.036 O
0.092 0.485 0.626 O
0.399 0.814 0.607 O
0.722 0.481 0.265 O
0.251 0.146 0.365 O
0.407 0.986 0.122 O
0.322 0.233 0.142 O
0.387 0.986 0.716 O
0.362 0.050 0.262 O
0.523 0.886 0.464 O
0.628 0.433 0.514 O
0.793 0.023 0.104 O
0.844 0.262 0.499 O
0.146 0.251 0.635 O
0.095 0.317 0.142 O
0.638 0.950 0.762 O
0.278 0.519 0.765 O
0.287 0.480 0.146 O
0.136 0.555 0.490 O
0.477 0.114 0.964 O
0.765 0.656 0.748 O
0.355 0.750 0.114 O
0.864 0.445 0.990 O
0.050 0.362 0.738 O
0.186 0.601 0.893 O
0.683 0.905 0.358 O
0.318 0.907 0.364 O
0.879 0.931 0.235 O
0.819 0.593 0.890 O
0.433 0.628 0.486 O
0.931 0.879 0.765 O
0.171 0.730 0.605 O
0.950 0.638 0.238 O
0.986 0.387 0.284 O
0.986 0.407 0.878 O
0.515 0.908 0.874 O
0.520 0.713 0.354 O
0.829 0.270 0.105 O
0.235 0.344 0.248 O
0.907 0.318 0.636 O
0.481 0.722 0.735 O
0.022 0.231 0.013 O
0.567 0.372 0.986 O
0.270 0.829 0.895 O
0.593 0.819 0.110 O
0.908 0.515 0.126 O
0.767 0.678 0.358 O
0.233 0.322 0.858 O
0.678 0.767 0.642 O
0.372 0.567 0.014 O
0.480 0.287 0.854 O
0.750 0.355 0.886 O
0.093 0.682 0.136 O
0.905 0.683 0.642 O
0.407 0.181 0.610 O
0.069 0.121 0.265 O
0.814 0.399 0.393 O
0.730 0.171 0.395 O
0.231 0.022 0.987 O
0.014 0.593 0.378 O
0.485 0.092 0.374 O
0.156 0.738 0.999 O
0.262 0.844 0.501 O
0.749 0.854 0.865 O
0.769 0.978 0.487 O
0.977 0.207 0.396 O
0.601 0.186 0.107 O
0.445 0.864 0.010 O
0.886 0.523 0.536 O
0.682 0.093 0.864 O
0.555 0.136 0.510 O
0.593 0.014 0.622 O
0.978 0.769 0.513 O
0.121 0.069 0.735 O
0.738 0.156 0.001 O
0.713 0.520 0.646 O
>>>

Event Follow-Up: Transparent Assignment Design (Apr. 15, 2019)

Faculty and staff from Green Bay, Manitowoc, Marinette, and Sheboygan joined other institutions participating in the Taking Student Success to Scale high-impact practice (HIP) project in an interactive webinar about designing transparent assignments. The session was hosted by Mary-Ann Winkelmes on 4/15/19. More information on Dr. Winkelmes’s work can be found beneath the embedded video.

Session Recording (4/15/19)

Session Resources

More Information

The National Association of System Heads (NASH) sponsored a webinar with Mary-Ann Winkelmes on Transparent Assignment Design. All members of the campus community were invited.  Mary-Ann is the founder and director of the Transparency in Learning and Teaching in Higher Education Project (TILT Higher Ed).

Transparent instruction is an inclusive, equitable teaching practice that can enhance High Impact Practices by making learning processes explicit and promoting student success equitably. A 2016 AAC&U study (Winkelmes et al.) identifies transparent assignment design as a small, easily replicable teaching intervention that significantly enhances students’ success, with greater gains by historically underserved students. A 2018 study suggests those benefits can boost students’ retention rates for up to two years. In this session we reviewed the findings and examined some sample assignments. Then we applied the research to revising some class activities and assignments. Participants left with a draft assignment or activity for one of their courses, and a concise set of strategies for designing transparent assignments that promote students’ learning equitably.